Listing.
┌──
Here is a molecular structure, C30H38F5N5O5PbSSeSi2 at a distorted geometry from OMol25. Energies are from ωB97M-V/def2-TZVPD.

total charge	+2
LUMO energy	-8.2	eV
relative energy (zero: lowest compared OMol25 entry of this formula, charge and spin)	14.24	kcal per mole
HOMO-LUMO gap	5.2	eV

Geometry as XYZ:
```
88
Properties=species:S:1:pos:R:3:forces:R:3:lowdin_charge:R:1
Pb -1.314 0.652 -0.129 -0.9 0.1 -0.7 1.200
O -4.064 -0.714 3.529 -0.4 -0.2 0.1 0.172
C -3.358 -0.516 2.437 0.4 0.2 -0.1 -0.464
O -2.263 0.018 2.425 -0.1 -0.1 0.0 -0.014
C -4.026 -1.004 1.198 -0.3 -0.1 -0.1 -0.179
C -5.274 -1.603 1.205 0.1 0.1 0.1 0.042
C -5.812 -2.021 -0.009 0.0 0.0 -0.1 0.010
C -5.081 -1.846 -1.168 0.0 0.0 0.1 0.050
C -3.838 -1.223 -1.084 0.1 0.0 -0.1 -0.167
N -3.335 -0.809 0.069 0.0 -0.1 0.2 0.049
C -2.944 -1.050 -2.311 -0.1 -0.4 -0.1 -0.618
O -3.124 -1.828 -3.235 0.1 0.2 0.1 0.073
O -2.042 -0.148 -2.210 0.3 0.1 0.4 -0.248
H -3.624 -0.365 4.317 0.2 0.1 -0.1 0.153
H -5.806 -1.727 2.137 0.0 0.0 0.0 0.131
H -6.788 -2.487 -0.036 0.0 0.0 0.0 0.128
H -5.433 -2.169 -2.137 0.0 0.0 0.0 0.136
C 4.472 0.056 -0.008 -0.1 0.2 0.3 -0.155
Si 3.749 1.343 1.150 0.4 0.0 -0.7 0.546
C 4.982 1.919 2.465 -0.4 -0.2 0.0 -0.127
C 3.016 2.773 0.185 0.0 -0.2 0.3 -0.159
C 2.414 0.556 2.306 0.0 0.4 -0.3 -0.020
C 1.335 1.443 2.645 -0.5 0.4 0.9 -0.361
C 1.430 1.879 3.988 0.2 -0.5 -0.3 0.005
C 0.667 2.956 4.401 -0.1 0.4 0.1 -0.005
C -0.214 3.543 3.513 0.2 -0.1 0.3 0.004
C -0.308 2.999 2.238 0.0 -0.3 -0.2 -0.131
N 0.431 1.990 1.805 0.9 0.0 -0.2 0.041
Si 2.529 -1.119 3.277 0.2 -0.7 0.6 0.542
C 0.768 -1.486 3.824 0.3 0.2 -0.1 -0.146
C 3.240 -2.449 2.158 -0.1 0.5 0.0 -0.151
C 3.697 -0.889 4.744 -0.2 0.2 -0.3 -0.140
H 5.055 0.577 -0.770 0.0 0.0 0.0 0.050
H 3.693 -0.521 -0.506 0.0 0.0 0.0 0.010
H 5.144 -0.630 0.507 0.0 0.0 0.0 0.033
H 5.753 2.511 1.969 0.0 0.0 -0.1 0.057
H 5.471 1.075 2.952 0.0 0.0 0.0 0.032
H 4.521 2.543 3.231 0.0 0.0 0.0 0.043
H 3.798 3.261 -0.398 0.1 -0.1 0.0 0.055
H 2.562 3.533 0.821 0.0 0.0 0.0 0.041
H 2.259 2.422 -0.515 -0.1 0.0 0.0 -0.012
H 2.140 1.413 4.659 -0.1 0.0 0.1 0.105
H 0.748 3.313 5.419 0.0 0.0 0.0 0.131
H -0.838 4.375 3.804 0.0 0.0 0.0 0.126
H -1.023 3.398 1.524 -0.1 0.0 0.0 0.111
H 0.084 -1.447 2.974 -0.1 0.0 0.0 0.018
H 0.418 -0.762 4.562 0.0 0.0 0.0 0.040
H 0.698 -2.475 4.278 0.1 0.0 0.0 0.050
H 2.644 -2.569 1.259 -0.1 -0.1 -0.1 0.002
H 3.244 -3.393 2.706 -0.1 0.0 0.1 0.053
H 4.267 -2.233 1.862 0.0 0.0 0.0 0.032
H 3.326 -0.186 5.490 0.0 0.0 0.0 0.034
H 4.691 -0.571 4.430 0.0 0.0 0.0 0.033
H 3.800 -1.860 5.234 0.0 -0.1 0.0 0.055
F -4.036 6.166 -5.528 -0.1 0.1 0.0 0.176
C -3.195 5.478 -4.788 0.1 -0.1 0.1 -0.118
C -1.978 6.042 -4.420 0.0 0.0 0.0 -0.132
F -1.677 7.274 -4.798 0.0 0.0 0.0 0.157
C -1.098 5.303 -3.653 0.0 -0.3 0.0 -0.243
F 0.071 5.825 -3.290 -0.1 0.2 -0.2 0.092
C -1.419 4.014 -3.234 0.3 -0.1 0.0 -0.362
Se -0.106 3.042 -2.248 -0.4 1.0 0.6 1.042
C -2.651 3.482 -3.581 0.1 0.1 0.1 -0.235
F -3.000 2.283 -3.126 -0.1 0.0 -0.1 0.094
C -3.537 4.201 -4.362 0.0 0.0 0.0 -0.130
F -4.713 3.685 -4.688 0.0 0.0 0.0 0.152
C 1.108 -3.897 -4.366 -0.1 0.1 0.0 -0.063
C 0.288 -2.613 -4.271 0.2 -0.3 0.1 -0.190
N 0.567 -1.869 -3.036 -0.1 0.1 -0.4 0.036
C 0.084 -2.133 -1.842 0.3 0.1 0.5 -0.716
S 0.621 -1.089 -0.532 0.4 -0.3 0.2 0.565
N -0.688 -3.181 -1.619 -0.1 0.2 -0.3 0.054
C -1.144 -3.701 -0.334 0.1 -0.3 0.1 -0.238
C -0.377 -4.965 0.042 0.0 0.1 0.0 -0.060
H 0.821 -4.440 -5.265 0.0 0.0 0.0 0.088
H 0.949 -4.549 -3.506 0.0 0.0 0.0 0.067
H 2.173 -3.677 -4.430 0.0 0.0 0.0 0.083
H -0.782 -2.806 -4.330 -0.1 0.1 0.0 0.112
H 0.540 -1.949 -5.095 -0.1 0.0 0.0 0.130
H 1.113 -1.027 -3.120 -0.1 0.1 0.1 0.112
H -0.989 -3.701 -2.434 0.0 0.0 0.0 0.148
H -2.210 -3.919 -0.424 0.0 0.1 0.0 0.125
H -1.003 -2.936 0.424 -0.1 0.1 -0.1 0.069
H -0.581 -5.768 -0.666 0.0 0.0 0.0 0.083
H -0.672 -5.303 1.035 0.0 0.0 0.0 0.083
H 0.695 -4.769 0.053 0.0 0.0 0.0 0.076
O -0.118 1.453 -4.396 0.1 0.1 0.2 -0.023
N 0.408 1.595 -3.358 0.1 -0.9 -0.9 -0.334
```
Positions in Å, forces in eV/Å.
└──

To do.
Could you start at the top of the lines earlier on and type out each line, ending with the one that has "0.695 -4.769"?

Here it is.
Here is a molecular structure, C30H38F5N5O5PbSSeSi2 at a distorted geometry from OMol25. Energies are from ωB97M-V/def2-TZVPD.

total charge	+2
LUMO energy	-8.2	eV
relative energy (zero: lowest compared OMol25 entry of this formula, charge and spin)	14.24	kcal per mole
HOMO-LUMO gap	5.2	eV

Geometry as XYZ:
```
88
Properties=species:S:1:pos:R:3:forces:R:3:lowdin_charge:R:1
Pb -1.314 0.652 -0.129 -0.9 0.1 -0.7 1.200
O -4.064 -0.714 3.529 -0.4 -0.2 0.1 0.172
C -3.358 -0.516 2.437 0.4 0.2 -0.1 -0.464
O -2.263 0.018 2.425 -0.1 -0.1 0.0 -0.014
C -4.026 -1.004 1.198 -0.3 -0.1 -0.1 -0.179
C -5.274 -1.603 1.205 0.1 0.1 0.1 0.042
C -5.812 -2.021 -0.009 0.0 0.0 -0.1 0.010
C -5.081 -1.846 -1.168 0.0 0.0 0.1 0.050
C -3.838 -1.223 -1.084 0.1 0.0 -0.1 -0.167
N -3.335 -0.809 0.069 0.0 -0.1 0.2 0.049
C -2.944 -1.050 -2.311 -0.1 -0.4 -0.1 -0.618
O -3.124 -1.828 -3.235 0.1 0.2 0.1 0.073
O -2.042 -0.148 -2.210 0.3 0.1 0.4 -0.248
H -3.624 -0.365 4.317 0.2 0.1 -0.1 0.153
H -5.806 -1.727 2.137 0.0 0.0 0.0 0.131
H -6.788 -2.487 -0.036 0.0 0.0 0.0 0.128
H -5.433 -2.169 -2.137 0.0 0.0 0.0 0.136
C 4.472 0.056 -0.008 -0.1 0.2 0.3 -0.155
Si 3.749 1.343 1.150 0.4 0.0 -0.7 0.546
C 4.982 1.919 2.465 -0.4 -0.2 0.0 -0.127
C 3.016 2.773 0.185 0.0 -0.2 0.3 -0.159
C 2.414 0.556 2.306 0.0 0.4 -0.3 -0.020
C 1.335 1.443 2.645 -0.5 0.4 0.9 -0.361
C 1.430 1.879 3.988 0.2 -0.5 -0.3 0.005
C 0.667 2.956 4.401 -0.1 0.4 0.1 -0.005
C -0.214 3.543 3.513 0.2 -0.1 0.3 0.004
C -0.308 2.999 2.238 0.0 -0.3 -0.2 -0.131
N 0.431 1.990 1.805 0.9 0.0 -0.2 0.041
Si 2.529 -1.119 3.277 0.2 -0.7 0.6 0.542
C 0.768 -1.486 3.824 0.3 0.2 -0.1 -0.146
C 3.240 -2.449 2.158 -0.1 0.5 0.0 -0.151
C 3.697 -0.889 4.744 -0.2 0.2 -0.3 -0.140
H 5.055 0.577 -0.770 0.0 0.0 0.0 0.050
H 3.693 -0.521 -0.506 0.0 0.0 0.0 0.010
H 5.144 -0.630 0.507 0.0 0.0 0.0 0.033
H 5.753 2.511 1.969 0.0 0.0 -0.1 0.057
H 5.471 1.075 2.952 0.0 0.0 0.0 0.032
H 4.521 2.543 3.231 0.0 0.0 0.0 0.043
H 3.798 3.261 -0.398 0.1 -0.1 0.0 0.055
H 2.562 3.533 0.821 0.0 0.0 0.0 0.041
H 2.259 2.422 -0.515 -0.1 0.0 0.0 -0.012
H 2.140 1.413 4.659 -0.1 0.0 0.1 0.105
H 0.748 3.313 5.419 0.0 0.0 0.0 0.131
H -0.838 4.375 3.804 0.0 0.0 0.0 0.126
H -1.023 3.398 1.524 -0.1 0.0 0.0 0.111
H 0.084 -1.447 2.974 -0.1 0.0 0.0 0.018
H 0.418 -0.762 4.562 0.0 0.0 0.0 0.040
H 0.698 -2.475 4.278 0.1 0.0 0.0 0.050
H 2.644 -2.569 1.259 -0.1 -0.1 -0.1 0.002
H 3.244 -3.393 2.706 -0.1 0.0 0.1 0.053
H 4.267 -2.233 1.862 0.0 0.0 0.0 0.032
H 3.326 -0.186 5.490 0.0 0.0 0.0 0.034
H 4.691 -0.571 4.430 0.0 0.0 0.0 0.033
H 3.800 -1.860 5.234 0.0 -0.1 0.0 0.055
F -4.036 6.166 -5.528 -0.1 0.1 0.0 0.176
C -3.195 5.478 -4.788 0.1 -0.1 0.1 -0.118
C -1.978 6.042 -4.420 0.0 0.0 0.0 -0.132
F -1.677 7.274 -4.798 0.0 0.0 0.0 0.157
C -1.098 5.303 -3.653 0.0 -0.3 0.0 -0.243
F 0.071 5.825 -3.290 -0.1 0.2 -0.2 0.092
C -1.419 4.014 -3.234 0.3 -0.1 0.0 -0.362
Se -0.106 3.042 -2.248 -0.4 1.0 0.6 1.042
C -2.651 3.482 -3.581 0.1 0.1 0.1 -0.235
F -3.000 2.283 -3.126 -0.1 0.0 -0.1 0.094
C -3.537 4.201 -4.362 0.0 0.0 0.0 -0.130
F -4.713 3.685 -4.688 0.0 0.0 0.0 0.152
C 1.108 -3.897 -4.366 -0.1 0.1 0.0 -0.063
C 0.288 -2.613 -4.271 0.2 -0.3 0.1 -0.190
N 0.567 -1.869 -3.036 -0.1 0.1 -0.4 0.036
C 0.084 -2.133 -1.842 0.3 0.1 0.5 -0.716
S 0.621 -1.089 -0.532 0.4 -0.3 0.2 0.565
N -0.688 -3.181 -1.619 -0.1 0.2 -0.3 0.054
C -1.144 -3.701 -0.334 0.1 -0.3 0.1 -0.238
C -0.377 -4.965 0.042 0.0 0.1 0.0 -0.060
H 0.821 -4.440 -5.265 0.0 0.0 0.0 0.088
H 0.949 -4.549 -3.506 0.0 0.0 0.0 0.067
H 2.173 -3.677 -4.430 0.0 0.0 0.0 0.083
H -0.782 -2.806 -4.330 -0.1 0.1 0.0 0.112
H 0.540 -1.949 -5.095 -0.1 0.0 0.0 0.130
H 1.113 -1.027 -3.120 -0.1 0.1 0.1 0.112
H -0.989 -3.701 -2.434 0.0 0.0 0.0 0.148
H -2.210 -3.919 -0.424 0.0 0.1 0.0 0.125
H -1.003 -2.936 0.424 -0.1 0.1 -0.1 0.069
H -0.581 -5.768 -0.666 0.0 0.0 0.0 0.083
H -0.672 -5.303 1.035 0.0 0.0 0.0 0.083
H 0.695 -4.769 0.053 0.0 0.0 0.0 0.076